# File
<<<
Compound: DyEr3Ag2
Source: Alexandria
Functional: PBE
Structure: optimized geometry

Results
magnetic moment: 0.00 μB/atom
calculated total energy: -25.2 eV/cell

Unit cell a=3.588 b=3.588 c=12.175 alpha=90.00 beta=90.00 gamma=90.00
Atoms (fractional coordinates):
1 Dy 0.500 0.500 0.500
2 Er 0.000 0.000 0.000
3 Er 0.000 0.000 0.702
4 Er 0.000 0.000 0.298
5 Ag 0.500 0.500 0.851
6 Ag 0.500 0.500 0.149

Compound: Dy2ErAg2
Source: Alexandria
Functional: PBE
Structure: optimized geometry

Results
magnetic moment: 0.00 μB/atom
calculated total energy: -41.3 eV/cell

Unit cell a=3.624 b=5.217 c=13.506 alpha=90.00 beta=97.69 gamma=90.00
Atoms (fractional coordinates):
1 Dy 0.047 0.750 0.095
2 Dy 0.953 0.250 0.905
3 Dy 0.235 0.750 0.469
4 Dy 0.765 0.250 0.531
5 Er 0.854 0.750 0.709
6 Er 0.146 0.250 0.291
7 Ag 0.642 0.750 0.284
8 Ag 0.358 0.250 0.716
9 Ag 0.452 0.750 0.903
10 Ag 0.548 0.250 0.097

Compound: DyEr3Ag2
Source: Alexandria
Functional: PBE
Structure: optimized geometry

Results
magnetic moment: 0.00 μB/atom
calculated total energy: -47.7 eV/cell

Unit cell a=6.997 b=7.339 c=8.593 alpha=115.28 beta=114.02 gamma=90.00
Atoms (fractional coordinates):
1 Dy 0.000 0.500 0.000
2 Dy 0.000 0.000 0.000
3 Er 0.500 0.250 0.000
4 Er 0.500 0.750 0.000
5 Er 0.771 0.021 0.543
6 Er 0.229 0.479 0.457
7 Er 0.229 0.979 0.457
8 Er 0.771 0.521 0.543
9 Ag 0.558 0.358 0.715
10 Ag 0.843 0.142 0.285
11 Ag 0.157 0.858 0.715
12 Ag 0.442 0.642 0.285

Compound: Dy2ErAg4
Source: Alexandria
Functional: PBE
Structure: optimized geometry

Results
magnetic moment: 0.00 μB/atom
calculated total energy: -26.0 eV/cell

Unit cell a=5.248 b=5.248 c=7.386 alpha=110.81 beta=110.81 gamma=90.00
Atoms (fractional coordinates):
1 Er 0.000 0.000 0.000
2 Ag 0.381 0.881 0.763
3 Ag 0.881 0.381 0.763
4 Ag 0.619 0.119 0.237
5 Ag 0.119 0.619 0.237
6 Dy 0.726 0.726 0.453
7 Dy 0.274 0.274 0.547

Compound: DyEr3Ag3
Source: Alexandria
Functional: PBE
Structure: optimized geometry

Results
magnetic moment: 0.00 μB/atom
calculated total energy: -55.8 eV/cell

Unit cell a=7.242 b=7.242 c=6.950 alpha=90.62 beta=90.62 gamma=94.30
Atoms (fractional coordinates):
1 Dy 0.744 0.744 0.849
2 Dy 0.256 0.256 0.151
3 Er 0.621 0.621 0.338
4 Er 0.184 0.816 0.500
5 Er 0.816 0.184 0.500
6 Er 0.260 0.740 0.000
7 Er 0.740 0.260 0.000
8 Er 0.379 0.379 0.662
9 Ag 0.927 0.927 0.189
10 Ag 0.004 0.481 0.730
11 Ag 0.481 0.004 0.730
12 Ag 0.996 0.519 0.270
13 Ag 0.519 0.996 0.270
14 Ag 0.073 0.073 0.811

Compound: Dy6Er2Ag
Source: Alexandria
Functional: PBE
Structure: optimized geometry

Results
magnetic moment: 0.00 μB/atom
calculated total energy: -39.1 eV/cell

Unit cell a=3.532 b=10.139 c=9.279 alpha=123.11 beta=101.00 gamma=90.00
Atoms (fractional coordinates):
1 Dy 0.182 0.340 0.364
2 Dy 0.818 0.976 0.636
3 Dy 0.818 0.660 0.636
4 Dy 0.500 0.269 0.000
5 Dy 0.182 0.024 0.364
6 Dy 0.500 0.731 0.000
7 Er 0.140 0.639 0.279
8 Er 0.860 0.361 0.721
9 Ag 0.000 0.000 0.000

Compound: Dy4Er3Ag4
Source: Alexandria
Functional: PBE
Structure: optimized geometry

Results
magnetic moment: 0.00 μB/atom
calculated total energy: -44.9 eV/cell

Unit cell a=3.621 b=9.354 c=10.039 alpha=117.77 beta=100.39 gamma=90.00
Atoms (fractional coordinates):
1 Dy 0.339 0.152 0.677
2 Dy 0.661 0.474 0.323
3 Dy 0.661 0.848 0.323
4 Dy 0.339 0.526 0.677
5 Er 0.101 0.101 0.203
6 Er 0.899 0.899 0.797
7 Er 0.000 0.500 0.000
8 Ag 0.258 0.758 0.515
9 Ag 0.742 0.242 0.485
10 Ag 0.500 0.806 0.000
11 Ag 0.500 0.194 0.000

Compound: Dy4Er5Ag
Source: Alexandria
Functional: PBE
Structure: optimized geometry

Results
magnetic moment: 0.00 μB/atom
calculated total energy: -44.5 eV/cell

Unit cell a=3.520 b=3.520 c=23.851 alpha=90.00 beta=90.00 gamma=90.00
Atoms (fractional coordinates):
1 Dy 0.000 0.000 0.186
2 Dy 0.000 0.000 0.395
3 Dy 0.000 0.000 0.605
4 Dy 0.000 0.000 0.814
5 Er 0.500 0.500 0.080
6 Er 0.500 0.500 0.290
7 Er 0.500 0.500 0.500
8 Er 0.500 0.500 0.710
9 Er 0.500 0.500 0.920
10 Ag 0.000 0.000 0.000

Repeat the seventh record exactly.
>>>
# Request
Say how many lines of the material above hold the word "DyEr3Ag2", as a bare number, please.
# Solution
2